**What to do**
Please echo the entries below unchanged.

**Data**
********
Entry 1:
Structure and simulated PXRD pattern of MgRhN2 (a crystal structure in the Materials Project, relaxed with PBE; a wavelength of 1.5418 Å).
Lines closer than 0.1° are merged.

Top 8 peaks for 10 to 90 degrees two-theta, sorted by position:
two_theta	intensity
20.25	48
21.41	82
31.13	49
33.55	56
34.83	55
35.47	100
54.48	34
61.23	32

Atomic structure:
```
data_MgRhN2
_space_group_name_H-M_alt 'P n a 21'
_space_group_IT_number 33
_cell_length_a 5.880
_cell_length_b 6.587
_cell_length_c 5.343
_cell_angle_alpha 90.00
_cell_angle_beta 90.00
_cell_angle_gamma 90.00
loop_
_space_group_symop_operation_xyz
'x,y,z'
'-x,-y,z+1/2'
'-x+1/2,y+1/2,z+1/2'
'x+1/2,-y+1/2,z'
loop_
_atom_site_label
_atom_site_type_symbol
_atom_site_fract_x
_atom_site_fract_y
_atom_site_fract_z
Mg1 Mg 0.093 0.127 0.000
Rh1 Rh 0.083 0.639 0.011
N1 N 0.073 0.610 0.373
N2 N 0.101 0.131 0.398
```

---

Entry 2:
Structure and simulated PXRD pattern of Mg4RuN4 (a crystal structure in the Materials Project, relaxed with PBE; a wavelength of 1.5418 Å).
Lines closer than 0.1° are merged.

Top 8 peaks for 10 to 90 degrees two-theta, sorted by position:
two_theta	intensity
18.00	35
20.35	36
21.28	60
35.01	43
35.15	43
36.53	38
40.74	49
40.88	100

Atomic structure:
```
data_Mg4RuN4
_space_group_name_H-M_alt 'P -1'
_space_group_IT_number 2
_cell_length_a 5.419
_cell_length_b 5.439
_cell_length_c 8.114
_cell_angle_alpha 73.85
_cell_angle_beta 87.14
_cell_angle_gamma 70.59
loop_
_space_group_symop_operation_xyz
'x,y,z'
'-x,-y,-z'
loop_
_atom_site_label
_atom_site_type_symbol
_atom_site_fract_x
_atom_site_fract_y
_atom_site_fract_z
Mg1 Mg 0.234 0.264 0.000
Mg2 Mg 0.234 0.839 0.790
Mg3 Mg 0.237 0.053 0.415
Mg4 Mg 0.246 0.473 0.591
Ru1 Ru 0.245 0.629 0.224
N1 N 0.005 0.400 0.205
N2 N 0.010 0.202 0.621
N3 N 0.349 0.831 0.031
N4 N 0.490 0.295 0.386
```

---

Entry 3:
Structure and simulated PXRD pattern of Mg5Si2N6 (a crystal structure in the Materials Project, relaxed with PBE; a wavelength of 1.5418 Å).
Lines closer than 0.1° are merged.

Top 8 peaks for 10 to 90 degrees two-theta, sorted by position:
two_theta	intensity
19.67	31
23.04	55
24.57	71
31.53	32
34.55	100
43.85	75
47.09	28
71.57	27

Atomic structure:
```
data_Mg5Si2N6
_space_group_name_H-M_alt 'P -4 b 2'
_space_group_IT_number 117
_cell_length_a 10.528
_cell_length_b 10.528
_cell_length_c 5.675
_cell_angle_alpha 90.00
_cell_angle_beta 90.00
_cell_angle_gamma 90.00
loop_
_space_group_symop_operation_xyz
'x,y,z'
'y,-x,-z'
'-x,-y,z'
'-y,x,-z'
'-x+1/2,y+1/2,z'
'-y+1/2,-x+1/2,-z'
'x+1/2,-y+1/2,z'
'y+1/2,x+1/2,-z'
loop_
_atom_site_label
_atom_site_type_symbol
_atom_site_fract_x
_atom_site_fract_y
_atom_site_fract_z
Mg1 Mg 0.000 0.500 0.000
Mg2 Mg 0.000 0.500 0.500
Mg3 Mg 0.097 0.105 0.178
Mg4 Mg 0.103 0.274 0.651
Si1 Si 0.104 0.728 0.251
N1 N 0.045 0.333 0.309
N2 N 0.104 0.894 0.196
N3 N 0.146 0.646 0.000
N4 N 0.208 0.708 0.500
```

---

Entry 4:
Structure and simulated PXRD pattern of Mg4SiN4 (a crystal structure in the Materials Project, relaxed with PBE; a wavelength of 1.5418 Å).
Lines closer than 0.1° are merged.

Top 8 peaks for 10 to 90 degrees two-theta, sorted by position:
two_theta	intensity
17.26	62
20.03	47
28.15	49
36.49	100
38.06	49
40.20	42
40.60	56
56.72	46

Atomic structure:
```
data_Mg4SiN4
_space_group_name_H-M_alt 'P n n a'
_space_group_IT_number 52
_cell_length_a 5.223
_cell_length_b 10.275
_cell_length_c 8.375
_cell_angle_alpha 90.00
_cell_angle_beta 90.00
_cell_angle_gamma 90.00
loop_
_space_group_symop_operation_xyz
'x,y,z'
'-x,-y,-z'
'-x+1/2,-y,z'
'x+1/2,y,-z'
'x,-y+1/2,-z+1/2'
'-x,y+1/2,z+1/2'
'-x+1/2,y+1/2,-z+1/2'
'x+1/2,-y+1/2,z+1/2'
loop_
_atom_site_label
_atom_site_type_symbol
_atom_site_fract_x
_atom_site_fract_y
_atom_site_fract_z
Mg1 Mg 0.149 0.129 0.108
Mg2 Mg 0.192 0.250 0.750
Mg3 Mg 0.250 0.000 0.446
Si1 Si 0.250 0.000 0.766
N1 N 0.036 0.100 0.873
N2 N 0.054 0.607 0.848
```
********

**Outcome**
Entry 1:
Structure and simulated PXRD pattern of MgRhN2 (a crystal structure in the Materials Project, relaxed with PBE; a wavelength of 1.5418 Å).
Lines closer than 0.1° are merged.

Top 8 peaks for 10 to 90 degrees two-theta, sorted by position:
two_theta	intensity
20.25	48
21.41	82
31.13	49
33.55	56
34.83	55
35.47	100
54.48	34
61.23	32

Atomic structure:
```
data_MgRhN2
_space_group_name_H-M_alt 'P n a 21'
_space_group_IT_number 33
_cell_length_a 5.880
_cell_length_b 6.587
_cell_length_c 5.343
_cell_angle_alpha 90.00
_cell_angle_beta 90.00
_cell_angle_gamma 90.00
loop_
_space_group_symop_operation_xyz
'x,y,z'
'-x,-y,z+1/2'
'-x+1/2,y+1/2,z+1/2'
'x+1/2,-y+1/2,z'
loop_
_atom_site_label
_atom_site_type_symbol
_atom_site_fract_x
_atom_site_fract_y
_atom_site_fract_z
Mg1 Mg 0.093 0.127 0.000
Rh1 Rh 0.083 0.639 0.011
N1 N 0.073 0.610 0.373
N2 N 0.101 0.131 0.398
```

---

Entry 2:
Structure and simulated PXRD pattern of Mg4RuN4 (a crystal structure in the Materials Project, relaxed with PBE; a wavelength of 1.5418 Å).
Lines closer than 0.1° are merged.

Top 8 peaks for 10 to 90 degrees two-theta, sorted by position:
two_theta	intensity
18.00	35
20.35	36
21.28	60
35.01	43
35.15	43
36.53	38
40.74	49
40.88	100

Atomic structure:
```
data_Mg4RuN4
_space_group_name_H-M_alt 'P -1'
_space_group_IT_number 2
_cell_length_a 5.419
_cell_length_b 5.439
_cell_length_c 8.114
_cell_angle_alpha 73.85
_cell_angle_beta 87.14
_cell_angle_gamma 70.59
loop_
_space_group_symop_operation_xyz
'x,y,z'
'-x,-y,-z'
loop_
_atom_site_label
_atom_site_type_symbol
_atom_site_fract_x
_atom_site_fract_y
_atom_site_fract_z
Mg1 Mg 0.234 0.264 0.000
Mg2 Mg 0.234 0.839 0.790
Mg3 Mg 0.237 0.053 0.415
Mg4 Mg 0.246 0.473 0.591
Ru1 Ru 0.245 0.629 0.224
N1 N 0.005 0.400 0.205
N2 N 0.010 0.202 0.621
N3 N 0.349 0.831 0.031
N4 N 0.490 0.295 0.386
```

---

Entry 3:
Structure and simulated PXRD pattern of Mg5Si2N6 (a crystal structure in the Materials Project, relaxed with PBE; a wavelength of 1.5418 Å).
Lines closer than 0.1° are merged.

Top 8 peaks for 10 to 90 degrees two-theta, sorted by position:
two_theta	intensity
19.67	31
23.04	55
24.57	71
31.53	32
34.55	100
43.85	75
47.09	28
71.57	27

Atomic structure:
```
data_Mg5Si2N6
_space_group_name_H-M_alt 'P -4 b 2'
_space_group_IT_number 117
_cell_length_a 10.528
_cell_length_b 10.528
_cell_length_c 5.675
_cell_angle_alpha 90.00
_cell_angle_beta 90.00
_cell_angle_gamma 90.00
loop_
_space_group_symop_operation_xyz
'x,y,z'
'y,-x,-z'
'-x,-y,z'
'-y,x,-z'
'-x+1/2,y+1/2,z'
'-y+1/2,-x+1/2,-z'
'x+1/2,-y+1/2,z'
'y+1/2,x+1/2,-z'
loop_
_atom_site_label
_atom_site_type_symbol
_atom_site_fract_x
_atom_site_fract_y
_atom_site_fract_z
Mg1 Mg 0.000 0.500 0.000
Mg2 Mg 0.000 0.500 0.500
Mg3 Mg 0.097 0.105 0.178
Mg4 Mg 0.103 0.274 0.651
Si1 Si 0.104 0.728 0.251
N1 N 0.045 0.333 0.309
N2 N 0.104 0.894 0.196
N3 N 0.146 0.646 0.000
N4 N 0.208 0.708 0.500
```

---

Entry 4:
Structure and simulated PXRD pattern of Mg4SiN4 (a crystal structure in the Materials Project, relaxed with PBE; a wavelength of 1.5418 Å).
Lines closer than 0.1° are merged.

Top 8 peaks for 10 to 90 degrees two-theta, sorted by position:
two_theta	intensity
17.26	62
20.03	47
28.15	49
36.49	100
38.06	49
40.20	42
40.60	56
56.72	46

Atomic structure:
```
data_Mg4SiN4
_space_group_name_H-M_alt 'P n n a'
_space_group_IT_number 52
_cell_length_a 5.223
_cell_length_b 10.275
_cell_length_c 8.375
_cell_angle_alpha 90.00
_cell_angle_beta 90.00
_cell_angle_gamma 90.00
loop_
_space_group_symop_operation_xyz
'x,y,z'
'-x,-y,-z'
'-x+1/2,-y,z'
'x+1/2,y,-z'
'x,-y+1/2,-z+1/2'
'-x,y+1/2,z+1/2'
'-x+1/2,y+1/2,-z+1/2'
'x+1/2,-y+1/2,z+1/2'
loop_
_atom_site_label
_atom_site_type_symbol
_atom_site_fract_x
_atom_site_fract_y
_atom_site_fract_z
Mg1 Mg 0.149 0.129 0.108
Mg2 Mg 0.192 0.250 0.750
Mg3 Mg 0.250 0.000 0.446
Si1 Si 0.250 0.000 0.766
N1 N 0.036 0.100 0.873
N2 N 0.054 0.607 0.848
```